(Assignment)
What is needed: filter the material further down: keep the lines with the word "optimized".

(Source)
- - -
Record 1
Compound: MgCo4O8
Source: the Materials Project database
Functional: GGA+U
Structure: optimized geometry

Unit cell a=5.822 b=5.837 c=5.848 alpha=116.78 beta=96.08 gamma=116.01
Positions (direct):
Mg  0.000  0.000  0.000
Co  0.361  0.740  0.612
Co  0.381  0.743  0.124
Co  0.384  0.246  0.629
Co  0.873  0.253  0.613
O  0.137  0.274  0.409
O  0.138  0.267  0.857
O  0.140  0.725  0.866
O  0.167  0.776  0.375
O  0.590  0.718  0.857
O  0.602  0.209  0.375
O  0.604  0.760  0.363
O  0.613  0.208  0.821

Summary:
- corrected total energy (MP2020 scheme) (eV per cell) = -86.18
- energy above the lowest structure with this stoichiometry (meV per atom) = 150
- crystal system = triclinic
- ΔH_f (0 K) (eV/atom) = -1.274

***

Record 2
Compound: MgCo2O4
Source: the Materials Project database
Functional: GGA+U
Structure: optimized geometry

Unit cell a=5.978 b=5.978 c=14.607 alpha=90.00 beta=90.00 gamma=120.00
Positions (direct):
Mg  0.000  0.000  0.000
Mg  0.000  0.000  0.246
Mg  0.333  0.667  0.581
Mg  0.667  0.333  0.289
Mg  0.667  0.333  0.665
Mg  0.667  0.333  0.914
Co  0.000  0.000  0.623
Co  0.167  0.333  0.790
Co  0.167  0.833  0.790
Co  0.332  0.166  0.457
Co  0.333  0.667  0.335
Co  0.333  0.667  0.957
Co  0.501  0.003  0.124
Co  0.501  0.499  0.124
Co  0.667  0.833  0.790
Co  0.834  0.166  0.457
Co  0.834  0.668  0.457
Co  0.997  0.499  0.124
O  0.000  0.000  0.382
O  0.000  0.000  0.865
O  0.025  0.512  0.868
O  0.152  0.304  0.539
O  0.152  0.848  0.539
O  0.182  0.364  0.043
O  0.182  0.818  0.043
O  0.308  0.154  0.712
O  0.333  0.667  0.199
O  0.333  0.667  0.716
O  0.355  0.178  0.197
O  0.488  0.512  0.868
O  0.488  0.975  0.868
O  0.509  0.018  0.381
O  0.509  0.491  0.381
O  0.636  0.818  0.043
O  0.667  0.333  0.049
O  0.667  0.333  0.531
O  0.696  0.848  0.539
O  0.822  0.178  0.197
O  0.822  0.645  0.197
O  0.846  0.154  0.712
O  0.846  0.692  0.712
O  0.982  0.491  0.381

Summary:
- corrected total energy (MP2020 scheme) (eV per cell) = -287.15
- energy above the lowest structure with this stoichiometry (meV per atom) = 97
- crystal system = trigonal
- ΔH_f (0 K) (eV/atom) = -1.750

~~~~~

The following is a r²SCAN calculation of CeSm3S4 after structural relaxation, from the Materials Project.

Results
E_form: -2305 meV per atom
Energy: -170.6 eV per cell
M_tot: 1.1 μB/f.u.

The structure in CIF format:
```
data_CeSm3S4
_chemical_formula_sum 'Ce1 Sm3 S4'
_symmetry_space_group_name_H-M 'P 1'
_symmetry_Int_Tables_number 1
_symmetry_space_group_name_Hall 'P 1'
_cell_length_a 6.951
_cell_length_b 6.951
_cell_length_c 6.980
_cell_angle_alpha 99.60
_cell_angle_beta 99.60
_cell_angle_gamma 33.74
loop_
_atom_site_label
_atom_site_type_symbol
_atom_site_fract_x
_atom_site_fract_y
_atom_site_fract_z
Ce1 Ce 0.000 0.000 0.000
Sm1 Sm 0.250 0.250 0.750
Sm2 Sm 0.500 0.500 0.500
Sm3 Sm 0.750 0.750 0.250
S1 S 0.126 0.126 0.378
S2 S 0.373 0.373 0.128
S3 S 0.627 0.627 0.872
S4 S 0.874 0.874 0.622
```


The following is a r²SCAN calculation of SrCd4Pt2 after structural relaxation, from the Materials Project.

Results
E_form: -521 meV per atom
Energy: -404.4 eV per cell
M_tot: 0.0 μB/f.u.

The structure in CIF format:
```
data_SrCd4Pt2
_chemical_formula_sum 'Sr2 Cd8 Pt4'
_symmetry_space_group_name_H-M 'P 1'
_symmetry_Int_Tables_number 1
_symmetry_space_group_name_Hall 'P 1'
_cell_length_a 8.287
_cell_length_b 8.287
_cell_length_c 4.496
_cell_angle_alpha 90.00
_cell_angle_beta 90.00
_cell_angle_gamma 90.00
loop_
_atom_site_label
_atom_site_type_symbol
_atom_site_fract_x
_atom_site_fract_y
_atom_site_fract_z
Sr1 Sr 0.000 0.000 0.000
Sr2 Sr 0.500 0.500 0.500
Cd1 Cd 0.092 0.343 0.500
Cd2 Cd 0.157 0.592 0.000
Cd3 Cd 0.343 0.092 0.500
Cd4 Cd 0.408 0.843 0.000
Cd5 Cd 0.592 0.157 0.000
Cd6 Cd 0.657 0.908 0.500
Cd7 Cd 0.843 0.408 0.000
Cd8 Cd 0.908 0.657 0.500
Pt1 Pt 0.219 0.781 0.500
Pt2 Pt 0.281 0.281 0.000
Pt3 Pt 0.719 0.719 0.000
Pt4 Pt 0.781 0.219 0.500
```
- - -

(Reply)
Structure: optimized geometry
Structure: optimized geometry